ECTS credits
ECTS credits: 6ECTS Hours Rules/Memories
Student's work ECTS: 100
Hours of tutorials: 2
Expository Class: 24
Interactive Classroom: 24
[The piece is interrupted by records of molecules]
/*
Below is C9H7FN4 in the gas phase, with properties calculated with ωB97M-V with the def2-TZVPD basis set.

```
! wB97M-V def2-TZVPD RIJCOSX def2/J DEFGRID3
* xyz 0 1
C 2.0920 1.8229 0.2479
C -3.3081 -0.2496 0.1546
C -2.2449 -0.2903 1.0249
C 1.6208 -0.9542 -1.3104
C 1.3744 0.3418 -1.4823
C 0.7594 -0.9466 0.9801
C 1.4004 -1.5598 -0.0143
C 0.9178 1.2047 -0.3343
C 0.1581 0.4133 0.7470
N 3.0206 2.2966 0.7143
N -2.8785 0.2938 -0.9988
N -1.6402 0.5825 -0.8949
N -1.2209 0.2459 0.3211
F 1.8834 -2.8023 0.1513
H -4.3215 -0.5648 0.2870
H -2.1437 -0.6322 2.0323
H 1.9843 -1.5891 -2.1018
H 1.5418 0.8364 -2.4248
H 0.5902 -1.4326 1.9266
H 0.2616 1.9977 -0.7100
H 0.1530 0.9857 1.6846
*
```

Its SMILES is N#C[C@H]1C=CC(F)=C[C@@H]1n1ccnn1. As for the gap between HOMO and LUMO: 9.66 eV. For the HOMO energy, the calculation gives -9.578 eV. The molar mass comes out at 190.181 g mol⁻¹. Its total energy is -665.97326 Eh. The value obtained for the LUMO energy is 0.08 eV.

Below is 6 unconnected molecules or ions with the total composition C35H36ClNO15P3, with properties calculated with ωB97M-V with the def2-TZVPD basis set.

```
! wB97M-V def2-TZVPD RIJCOSX def2/J DEFGRID3
* xyz -1 1
C 6.5506 2.9007 3.8482
C 5.2193 2.5361 4.5186
N 4.4663 3.6848 5.0223
P 3.0224 4.1026 4.0451
C 1.4557 4.5040 3.0159
C 2.1440 4.9676 5.6270
C 2.8381 4.8569 6.9107
O 3.6159 5.5927 7.4068
Cl 2.3573 3.3778 7.8988
P 2.0829 2.0832 4.5870
O 2.1783 1.1144 3.4308
P 3.8485 6.1734 3.4542
O 2.8577 7.1514 2.9403
O 4.6220 6.8498 4.7082
O 5.0145 5.9474 2.3327
H 6.3999 3.0252 2.7722
H 7.2472 2.0678 3.9492
H 6.9838 3.8072 4.2697
H 4.6321 1.9448 3.8143
H 5.4456 1.8726 5.3624
H 5.1069 4.4668 5.1165
H 3.5675 3.5022 2.8504
H 1.7373 4.8275 2.0164
H 0.9085 3.5656 2.8814
H 0.7860 5.2156 3.4910
H 1.9972 6.0282 5.4226
H 1.1610 4.5080 5.7301
H 0.7092 2.2815 4.8793
H 2.6885 1.4823 5.7137
H 4.4152 7.7929 4.7190
H 5.5185 5.1622 2.5972
C 3.8289 -1.3350 2.2571
C 3.6660 -2.6293 1.9852
C 4.2860 -3.2656 0.8034
O 4.1208 -4.4450 0.5543
C 5.1192 -2.4117 -0.0773
C 5.2965 -1.1211 0.1864
C 4.6672 -0.4733 1.3730
O 4.8532 0.6999 1.5925
H 3.3650 -0.8502 3.1109
H 3.0627 -3.2757 2.6124
H 5.5659 -2.8997 -0.9349
H 5.9010 -0.4777 -0.4409
C -0.6961 -3.4586 0.0092
C 0.0293 -3.7789 1.0767
C -0.3765 -3.3573 2.4425
O 0.2885 -3.6517 3.4110
C -1.6262 -2.5660 2.5720
C -2.3555 -2.2457 1.5064
C -1.9434 -2.6678 0.1483
O -2.6106 -2.3746 -0.8294
H -0.4139 -3.7563 -0.9947
H 0.9451 -4.3542 1.0052
H -1.9020 -2.2683 3.5754
H -3.2711 -1.6717 1.5730
C -7.8148 -1.6104 -0.1592
C -8.4968 -1.8442 -1.2758
C -7.8051 -2.2596 -2.5214
O -8.4283 -2.4682 -3.5436
C -6.3324 -2.4039 -2.4739
C -5.6384 -2.1684 -1.3612
C -6.3355 -1.7549 -0.1151
O -5.7269 -1.5402 0.9119
H -8.2936 -1.3060 0.7630
H -9.5733 -1.7450 -1.3343
H -5.8589 -2.7101 -3.3982
H -4.5537 -2.2615 -1.3037
C 0.1606 -2.3122 -6.4414
C 0.4888 -3.3086 -5.6245
C 0.1011 -3.2816 -4.1901
O 0.3967 -4.1921 -3.4448
*/
Total: 150Use languages
Spanish, Galician, EnglishType:
Ordinary subject Master’s Degree RD 1393/2007 - 822/2021Departments:
Political Science and SociologyAreas:
Psicoloxía Organizacional e Xurídico-ForenseCenter
Faculty of Labour RelationsCall:
Second SemesterTeaching:
With teachingEnrolment:
Enrollable | 1st year (Yes) -
The Subject.
Sociolabour audit is a discipline with the aim of establishing the description, measure, assessment and diagnosis of the human system in organizations or, if it is preferred, of the management systems of human resources in the organizations.
It does so by means of the development and application of indicators which allow quantifying the effectiveness and efficiency of these management systems of human resources. With the exception of some administrative and legal aspects, sociolabour audit does not stem from a prescribed regulatory set (as the financial audit does) but it develops it specifically for each concrete organization, verifying the reliability and validity of the information provided. Among the different aspects which can be included in the professional practice of a sociolabour auditor we have, for instance, the accounting of human resources, the assessment of the effectiveness of the politics and practices developed in the organizations or the diagnosis of the management processes of human resources, using a methodological plurality, mainly of quantitative character, but without excluding the qualitative aspects.
Aims of the Subject.
The main aim of the subject is to introduce students into the fundamentals of sociolabour audit in order to know how management audits of human resources can be made in organizations and how the above-mentioned audits can help to the managerial decision-taking. Students should distinguish and know the different integrated management processes and systems in organizations and how they can be audited to obtain a diagnosis and a proposal of action. Another important aim is that students get acquainted with some tools and techniques necessary to understand the functioning of the soicolabour audit (sampling, questionnaires, statistical concepts).
Among the most specific aims that students should be able to achieve at the end of the course are the following:
- To describe what a sociolabour audit is and its interest for the efficiency of the function of organizations employment.
- To differentiate the different types of sociolabour audits.
- To develop a sociolabour audit, particularly, the ones referred to the occupational risk prevention and the human resources management costs.
- To know the methods and techniques to carry out sociolabour audits, especially surveys, identifying their characteristics, advantages and limitations.
- To elaborate a report of sociolabour audit.1. Introduction to Business Organizations and Environment.:
- Companies and the inner world.
- Environment and the outside world.
- Organizational and individual challenges
- Implementation of HR policies
- Organizational structure.
- Models and types of authority.
2 Introduction to Social-Labor Audit:
- The Audit and Social-Labor Audit.
- Scope of Social-Labor Audit.
- Social Benefits of Auditing
- Types of audit.
- Auditing in Spain.
- Operation of large audit firms.
3 Organisation of the audit work.:
- Stages of Labor.
- Election and appointment of auditors.
- Planning and work programs.
- Budgeting
4 Methods and Techniques of analysis in the audit:
- Audit techniques.
- Ratios.
- Required properties and use of evidence.
- Use of statistical tools.
- Working papers.
- Analytical skills in practice.
5. Reports Audit
- Components of the report.
- Styles and report writing.
- Types of reports.
- Dissemination of audit reports.
- Reports recommendations.
6. Auditing RR strategy. HH.
- Objectives of the audit of the human resources strategy.
- Influence and analysis of the environment: generic and specific.
- Internal analysis.
- Strategic options: levels and types.
7. HR Audit Method:
- Method based on key indicators
- Reputation based method.
- Analytical method.
- Strategic method.
8 Analysis of the economic utility of Organizational Intervention and Audit Sociolaboral.:
- AEU What is?
- Elements and Indicators for the AEU.
- AEU models.
- Applications of the AEU.Bibliografía Básica
- Del Bas, E., Calvo, R. y García, M.A. (2015). Auditoría Sociolaboral. Teoría y práctica de una herramienta para la gestión de los RRHH.
- Fuentes, F.J. (Director y Coordinador), 2005. Introducción a la Auditoria Sociolaboral. Murcia: Diego Marín.
- Saitua, A. & Vázquez, I. 2001. La Auditoría estratégica de la función de Recursos Humanos. En E. Albizu & J. Landeta, (Coordinadores), “Dirección Estratégica de los Recursos Humanos. Teoría y Práctica”, pp. 323-376. Madrid: Ediciones Pirámide.
Bibliografía Complementaria
- Barranco, F.J. (1993). Planificación estratégica de Recursos Humanos. Del Marketing interno a la planificación. Pirámide.
- Bonache, J. y Cabrera, A. (Directores). 2005. Dirección Estratégica de Personas. Prentice-Hall.
- Chiavenato, I. (2008). Administración de los Recursos Humanos. McGraw-Hill.
- De la Poza, J.M. (1993). Principios de auditoria sociolaboral. Deusto.
- Gómez-Mejía y otros (2008): Gestión de Recursos Humanos. Prentice-Hall.
- Quijano, S.D. (2006). Dirección de recursos humanos y consultoría en las organizaciones. Icaria.
- Salgado, J. y Moscoso, S. (2001). Entrevista Conductual Estructurada de Selección de Personal. Teoría, práctica y rentabilidad. Pirámide.- Knowledge acquisition and development of different techniques of analysis and diagnosis of human resources management processes.
- Knowledge acquisition and development of basic statistical concepts and psychometric concepts of measurements´ reliability and validity.
- Knowledge acquisition and development of different indicators of human resources management costs.
- Knowledge acquisition and development of the sociolabour auditor role.
- Knowledge acquisition of how the elaboration processes of a sociolabour audit can be managed.
- Knowledge acquisition of different techniques and tools necessary to be able to understand, measure and/or solve situations and processes of labour human resources management (accidents, risks, leadership, quality, etc.).
- Development of team work abilities.
- Development of interpersonal relationships skills.
- Development of leadership abilities.
- Development of communication and formal presentation skills.The explanatory and practical classes are orientated to the training of students with regard to the acquisition of the knowledge related to the contents of the subject. For it the teacher will explain the different topics supported on audio-visual material and TIC tools . The practical classes will be of several types: (1) Analysis of cases and simulations to put into practice the concepts learnt in the explanatory classes and to acquire the specific competences (at an elementary level) necessary to pass the subject. (2) Dynamics of small groups where, apart from developing the specific competences directly related to the subject contents, students will practice the oral communication skills
Tutorials suppose a direct and on-site relation, so as to have a continuous assessing and studying in depth the theoretical contents and practical of student’s work, as well as solving doubts.
The assessment activities have a double aspect, from one hand, the activities of continuous assessment, together with the tutorials of course work, they will allow to have a constant feedback of its progression throughout the course, with respect to its grade of competences acquisition both related to knowledge, as techniques and attitudes; whereas, mid-term and final exams, will try to assess the level of knowledge acquired by the character respect to the contents of the unit included in the subject program.
Moreover, it will be at student’s disposal, in the Virtual Campus of the USC, an e-classroom of support to on-site teaching of the subject Psychology of Work where it will be found a lot of tools that make easier several types of alternative activities related to teaching, work in groups or personalized tutorials, ( groups of virtual work, on-line tutorials, debate forums, etc)The attendance to the expository and interactive sessions is obligatory, except for justified causes, to overcome the subject.
The evaluation of the subject-specific skills that are more related to the acquisition of knowledge and skills will be implemented by final examination and / or exams will be worth 70% of the final grade.
The evaluation of both specific skills as those related to certification will be done continuously, depending on the performance of students in each of the activities (studies, papers, readings). This part will be worth 30%.
The final passing score implies having obtained at least 5 points out of 10, in the knowledge exam to be compensated by the score on the interactive part.
Students to be granted to the dispensation of attendance following Instruction No. 1/2017 of the Xeral Secretariat on immunity of attendance in certain circumstances, be evaluated with a final examination, which will represent 70% of the final grade, and with the valuation of the exercises, reports, etc. referred to topics of the program, which will mean 30% of the final grade. The final passing score implies having obtained at least 5 points out of 10, in the knowledge exam to be compensated by the score on the interactive part.Study time and personal work to pass the subject:
Attendant hours: 20 expositive hours and 22 interactive hours. ECTS = 18.
Elaboration of materials for classes, readings and cases: 10 hours.
Exam preparation: 30 hours.
(This time is approximate)An important recommendation is attendance to both theoretical and practical classes, and above all, active participation in them. It is essential to successfully pass the subject and achieve the objectives suggested in this programme.
A second recommendation is that the contents of the subject must be studied in a systematic and regular way along the academic period and the material of the practices will be used to go deeply into the contents of some questions dealt with in the theoretical classes.Plagiarism and misuse of technologies:
The fraudulent completion of any exam, exercises, reports, etc., in whole or in part, that may be subject to evaluation for the subject will imply the qualification of failure in the current call, in accordance with article 16 included in the “Regulations "assessing students' academic performance and reviewing qualifications."
Mario Antonio Lado Campelo
Coordinador/a- Department
- Political Science and Sociology
- Area
- Psicoloxía Organizacional e Xurídico-Forense
- Phone
- 881815164
- mario.lado@usc.es
- Category
- Professor: Temporary PhD professor
2º Semester - January 27th-February 02nd Tuesday 16:00-20:00 Grupo /CLE_01 Spanish Classroom 2 Exams 05.21.2025 17:00-19:00 Grupo /CLE_01 Classroom 9 06.19.2025 17:00-19:00 Grupo /CLE_01 Classroom 9